About Niagara Lutheran Health Foundation
The Niagara Lutheran Health Foundation exists because costs to care for our residents and maintain and expand our health system facilities are constantly increasing. Funds raised by the foundation help to improve the quality of life for our residents and the work environment for our caregivers by contributing toward the purchase of necessary equipment, programs and furnishings.
Next to the article, the page also holds materials data:
+++
Here is an optimized crystal structure of Ca2Ge4Pd3Rh from Alexandria. Energies are from PBE.

Cell lengths 4.1972, 4.1972, 10.7048 Å; angles 90.00, 90.00, 90.00 degrees
With the nearest neighbours (Å) after each atom.
Atoms (fractional coordinates):
1 Ca 0.5000 0.0000 0.2473  6 Pd 3.19-3.42, 8 Ge 3.25-3.38, 2 Rh 3.42
2 Ca 0.0000 0.5000 0.7527  6 Pd 3.19-3.42, 8 Ge 3.25-3.38, 2 Rh 3.42
3 Ge 0.5000 0.5000 0.0000  4 Pd 2.57
4 Ge 0.0000 0.0000 0.0000  4 Pd 2.57
5 Ge 0.5000 0.0000 0.6289  3 Pd 2.48-2.51, 2 Rh 2.51
6 Ge 0.0000 0.5000 0.3711  3 Pd 2.48-2.51, 2 Rh 2.51
7 Pd 0.0000 0.0000 0.5000  4 Ge 2.51
8 Pd 0.5000 0.0000 0.8608  5 Ge 2.48-2.57
9 Pd 0.0000 0.5000 0.1392  5 Ge 2.48-2.57
10 Rh 0.5000 0.5000 0.5000  4 Ge 2.51

energy of formation = -0.70 eV/atom
ρ = 7.0 g cm⁻³
M_tot = 0.00 μB/f.u.
space-group type = P-4m2 (115)



Here is an optimized crystal structure of CaGe2PdRh from Alexandria. Energies are from PBE.

Cell lengths 4.1995, 4.1995, 6.0530 Å; angles 110.30, 110.30, 90.00 degrees
With the nearest neighbours (Å) after each atom.
Atoms (fractional coordinates):
1 Ca 0.0000 0.0000 0.0000  8 Ge 3.23, 4 Rh 3.37, 4 Pd 3.37
2 Ge 0.6216 0.6216 0.2432  2 Rh 2.50, 2 Pd 2.50, 1 Ge 2.57
3 Ge 0.3784 0.3784 0.7568  2 Rh 2.50, 2 Pd 2.50, 1 Ge 2.57
4 Pd 0.2500 0.7500 0.5000  4 Ge 2.50
5 Rh 0.7500 0.2500 0.5000  4 Ge 2.50

energy of formation = -0.73 eV/atom
ρ = 7.0 g cm⁻³
M_tot = 0.00 μB/f.u.
space-group type = I-4m2 (119)



Q: The lowest energy of formation belongs to which entry?
A: CaGe2PdRh

----------

[1]
Compound: Ba6RhS2Cl3
Source: Alexandria
Functional: GGA-PBE
Structure: optimized geometry

The value obtained for the magnetization is 0.162 μB/atom. The crystal system is monoclinic. For the raw formation energy, the calculation gives -1656.1 meV per atom.

The space group is C2/m (No. 12) and the conventional cell measures 7.9710, 13.7762 and 8.0475 Å, with angles of 90.00, 109.35 and 90.00 degrees. Symmetry generates all atoms from Ba at (0.2357, 0.1608, 0.2229), Ba at (0.2489, 0.0000, 0.7740), Rh at (0.0000, 0.0000, 0.0000), S at (0.0000, 0.3333, 0.0000), Cl at (0.0000, 0.1735, 0.5000) and Cl at (0.0000, 0.5000, 0.5000).

---

[2]
Compound: BaTiRh2Cl
Source: Alexandria
Functional: GGA-PBE
Structure: optimized geometry

The value obtained for the magnetization is 0.000 μB/atom. The crystal system is tetragonal. For the raw formation energy, the calculation gives -442.8 meV per atom.

The space group is P4/mmm (No. 123) and the conventional cell measures 4.6782, 4.6782 and 5.2941 Å, with angles of 90.00, 90.00 and 90.00 degrees. Symmetry generates all atoms from Ba at (0.0000, 0.0000, 0.0000), Ti at (0.5000, 0.5000, 0.5000), Rh at (0.0000, 0.5000, 0.5000) and Cl at (0.5000, 0.5000, 0.0000).

---

[3]
Compound: Ba2TlRhCl
Source: Alexandria
Functional: GGA-PBE
Structure: optimized geometry
+++
The Niagara Lutheran Health Foundation is a 501(c)(3) charitable organization. Every gift is used to help others, while providing you with tax advantages, as all gifts are tax deductible to the full extent allowed by law. We look forward to assisting you in the selection of gift opportunities that best meet your financial and charitable goals.
Your generosity impacts lives, because more than 40 percent of our skilled nursing residents cannot afford to pay for their care and must rely on Medicaid reimbursements. However, the New York state reimbursement system does not come close to covering our cost of providing care, and the gap between the reimbursement we receive and our cost to provide care to a single resident for one year is more than $30,000.
Whatever your reason for giving, you can know that your donation is for all the right reasons when you give to the Niagara Lutheran Health Foundation! Your charitable contributions enable us to continue our mission of caring for those who can no longer care for themselves, and ensures that quality care is available in our community.
Gift Options
- Cash – Gifts of cash entitle you to an immediate charitable income tax deduction.
- Stock and Other Appreciated Securities – Gifts entitle you to an immediate charitable deduction of full fair market value.
- Gift of Personal Property – Gifts entitle you to a charitable deduction based on full fair market value.
- Life Insurance – Gifts entitle you to a current income tax deduction, plus possible future deductions through gifts to pay policy premiums.
- Retirement Assets – Avoids income and estate tax.
- Real Estate – Gifts entitle you to an immediate income tax deduction and the reduction or elimination of capital gains tax.
- Retained Life Estate (give your residence, vacation home, etc. now, but continue to live there) – Gifts entitle you to a charitable deduction and lifetime use of residence.
- Trusts and Annuities – Gifts entitle you to a charitable income tax deduction, income, reduction of taxable estate, and other benefits.
- Bequests in Will – Donation is exempt from federal estate tax, and you retain control of your asset for your lifetime. Learn about our Legacies for Life Planned Giving Program.

How to Donate
Gifts and pledges may be fulfilled with a credit card, check, via transfer of stock or through United Way’s Donor Choice program. Pledges may be made over the next year; just tell us how much you would like to pledge and how you would like to be billed (monthly, quarterly, twice a year, in one installment in a specific month, etc.).
Gifts may be made without restriction or designated to support a specific purpose. Gifts may be offered in honor or in memory of a loved one, and a variety of recognition opportunities exist, including the naming of a building, room or program, and the placement of tribute plaques in our health system facilities.
Donations may be made online, or you may make a contribution payable to:
Niagara Lutheran Health Foundation
5959 Broadway
Lancaster, NY 14086
Phone: 716.684.0202 | Fax: 716.206.0484
Inserted here: records of crystals >
/*
[1]
The following is a PBE calculation of a relaxed AlRuAu crystal, from Alexandria.

Lattice parameters (Å, degrees): 2.8896 2.8896 6.4613 90.00 90.00 120.00
Closest atoms and distances in Å follow each position.
Positions (direct):
Al1 0.0000 0.0000 0.0000  3 Ru 2.51, 3 Au 2.75
Ru1 0.3333 0.6667 0.7102  3 Al 2.51
Au1 0.6667 0.3333 0.3382  3 Al 2.75, 6 Au 2.89, 3 Ru 2.93

Properties
electronic total energy	-5.538	eV per atom
density of states at the Fermi level	2.80	states/eV per cell
DFT formation energy	-0.1057	eV per atom
distance to the lowest polymorph of the same formula	89.0	meV/atom

***

[2]
The following is a PBE calculation of a relaxed AlRuAu2 crystal, from Alexandria.

Lattice parameters (Å, degrees): 2.8450 3.8846 5.8084 90.00 90.00 90.00
Closest atoms and distances in Å follow each position.
Positions (direct):
Al1 0.0000 0.0000 0.0000  8 Au 2.80, 2 Al 2.85, 2 Ru 2.90
Ru1 0.0000 0.0000 0.5000  8 Au 2.83, 2 Ru 2.85, 2 Al 2.90
Au1 0.5000 0.5000 0.2451  4 Al 2.80, 4 Ru 2.83, 4 Au 2.85-2.96
Au2 0.5000 0.5000 0.7549  4 Al 2.80, 4 Ru 2.83, 4 Au 2.85-2.96

Properties
electronic total energy	-4.827	eV per atom
density of states at the Fermi level	3.03	states/eV per cell
DFT formation energy	0.0662	eV per atom

***

[3]
The following is a PBE calculation of a relaxed Al3RuAu crystal, from Alexandria.

Lattice parameters (Å, degrees): 4.6631 4.6631 4.6631 90.00 90.00 90.00
Closest atoms and distances in Å follow each position.
Positions (direct):
Al1 0.0000 0.0000 0.5000  2 Ru 2.33
Al2 0.0000 0.5000 0.0000  2 Ru 2.33
Al3 0.5000 0.0000 0.0000  2 Ru 2.33
Ru1 0.0000 0.0000 0.0000  6 Al 2.33
Au1 0.5000 0.5000 0.5000  12 Al 3.30

Properties
electronic total energy	-4.730	eV per atom
density of states at the Fermi level	2.05	states/eV per cell
DFT formation energy	0.0257	eV per atom
distance to the lowest polymorph of the same formula	0.0	meV/atom

~~~~~

# 1
PrSI | PBEsol | optimized geometry

Properties
Raw formation energy: -1.803 eV per atom

Geometry as CIF:
```
data_PrSI
_chemical_formula_sum 'Pr8 S8 I8'
_space_group_name_H-M_alt 'P 1'
_space_group_IT_number 1
_space_group_name_Hall 'P 1'
_cell_length_a 7.016
_cell_length_b 7.285
_cell_length_c 14.121
_cell_angle_alpha 90.00
_cell_angle_beta 90.00
_cell_angle_gamma 90.00
loop_
_atom_site_label
_atom_site_type_symbol
_atom_site_fract_x
_atom_site_fract_y
_atom_site_fract_z
I1 I 0.175 0.096 0.300
I2 I 0.325 0.096 0.800
I3 I 0.675 0.404 0.300
I4 I 0.325 0.596 0.700
I5 I 0.825 0.404 0.800
I6 I 0.675 0.904 0.200
I7 I 0.825 0.904 0.700
I8 I 0.175 0.596 0.200
S1 S 0.002 0.759 0.974
S2 S 0.498 0.259 0.026
S3 S 0.002 0.259 0.526
S4 S 0.998 0.741 0.474
S5 S 0.498 0.759 0.474
S6 S 0.502 0.241 0.526
S7 S 0.998 0.241 0.026
S8 S 0.502 0.741 0.974
Pr1 Pr 0.242 0.469 0.917
Pr2 Pr 0.758 0.031 0.417
Pr3 Pr 0.758 0.531 0.083
Pr4 Pr 0.258 0.469 0.417
Pr5 Pr 0.242 0.969 0.583
Pr6 Pr 0.742 0.531 0.583
Pr7 Pr 0.258 0.969 0.083
Pr8 Pr 0.742 0.031 0.917
```

# 2
PrSiI | PBEsol | optimized geometry

Properties
*/
E-mail: foundation@niagaralutheran.org
The GEM Society
The foundation currently has a small but growing number of donors who make a monthly gift to the foundation by allowing us to charge their credit or debit card with a set amount on the 15th of each month. Donors like monthly giving because regular donations can be made in affordable monthly payments, and they save postage and time.
Many donors also like participating in a monthly giving program because they can easily increase, decrease, pause or stop their gift at any time. Monthly giving is also very advantageous to the foundation because it keeps our postage and administrative costs down, strengthens our long-term relationships with donors, and increases our annual income by reducing attrition rates.